Celebration Honoring Loretta Chubb
October 30, 2024
10:30 AM – 12:15 PM SUNDAY, NOV 17
Loretta Chubb served as Derry’s Coordinator of Hospitality Ministries for the past 15 years. She retired last month and now her Derry Church family is throwing HER a well-deserved party! Loretta will be recognized during the 10:30 am service on Sunday, Nov 17, and the reception following will be given in her honor. If you’d like to help with the festivities, contact Amanda Bentley.
Cards for Loretta can be brought with you that day or mailed to Derry Church, 248 E. Derry Rd, Hershey PA 17033. Write “Loretta” beneath your return address label to make it easy to sort cards from the regular church mail.
Register for the 2025 Women’s Retreat

Women of Derry Church, you’re invited to a weekend getaway for fellowship and spiritual renewal! Derry’s own Rev. Nancy Joiner Reinert will lead the retreat centered on the theme “God, the Master Gardener.” As we gather as a community of women, our hopes are to appreciate the infinite expanse of ongoing creation, consider what creation spirituality looks like, experience the gifts of nature, design spiritual practices, ponder where those practices may lead us, and grow in relationship with each other through study of scripture, conversation, and worship experiences of awe, sorrow, gratitude, wisdom and praise.
Cost for two nights’ lodging and four meals is $280/person single occupancy, $225 double occupancy, and $180 triple/quad occupancy. Or attend Saturday only for $50/person. Our group will stay in a lodge that sleeps 30 and requires a short outdoor walk to get to the dining room.
Oct 2024 Session Highlights
October 30, 2024- At the Oct 13 congregational meeting, new elders, deacons, and nominating committee members were elected. Elders: Bobbie Atkinson, Bill Alexander, Peggy Ladd, Kathy McGrath, Lynn Shirk & Matt Smoluk. Deacons: Courtney Garcia, Lynn Porter, Emily Spingler, Julie Harris, & Twila Ziviello. Nominating: Suzie Gloeckler, Heidi Keene, Chris Cooper & Sara Matthews.
- At its October meeting, the Session reviewed Derry’s year-to-date financial report. The Stewardship & Finance Committee also shared a letter from independent accountants, Boyer & Ritter reporting on their recent review of Derry’s financial records. The review found no evidence of mismanagement or fraud regarding the financial procedures or records of the church.
- Approved building use requests from:
- Peter Sirotin on behalf of Market Square Concerts for a musical program on March 26, 2025 at 7:30 pm in the Sanctuary – $600 fee plus piano tuning
- Dan Dorty for a rehearsal of the Mt. Gretna Bible Festival Mass Choir on May 4, 2025 in the Sanctuary – no charge
- Carly Wilfong for a Zumba Dance fundraiser for the Four Diamonds fund on Saturday, October 26 in Fellowship Hall – no charge
=====
Entry 1:
Starting from the GGA-PBE geometry in OQMD, the powder diffraction line list of Y3Mg3Ag2Au was calculated for Cu Kα.
Kinematic intensities with the Lorentz-polarization factor, no thermal factor.

Structural model:
Unit cell a=7.6009 b=7.6009 c=4.1998 alpha=90.00 beta=90.00 gamma=120.00
Space group P-62m (No. 189)
One atom of each set of equivalent atoms:
Y  0.0000  0.5921  0.0000 [3 per cell]
Mg  0.0000  0.2437  0.5000 [3 per cell]
Ag  0.3333  0.6667  0.5000 [2 per cell]
Au  0.0000  0.0000  0.0000 [1 per cell]

Principal peaks in the range 2θ = 10–90°, most intense first:
d = 2.591 Å, I = 100, hkl 2 0 1; d = 3.800 Å, I = 53, hkl 1 1 0; d = 2.141 Å, I = 48, hkl 2 1 1; d = 3.541 Å, I = 44, hkl 1 0 1; d = 2.194 Å, I = 39, hkl 3 0 0; d = 2.818 Å, I = 35, hkl 1 1 1; d = 1.421 Å, I = 28, hkl 3 2 1; d = 1.517 Å, I = 24, hkl 3 0 2; d = 2.100 Å, I = 21, hkl 0 0 2; d = 3.291 Å, I = 19, hkl 2 0 0; d = 1.674 Å, I = 15, hkl 3 1 1; d = 1.900 Å, I = 14, hkl 2 2 0

Entry 2:
Starting from the GGA-PBE geometry in OQMD, the powder diffraction line list of SmBe3 was calculated for Cu Kα.
Kinematic intensities with the Lorentz-polarization factor, no thermal factor.

Structural model:
Unit cell a=4.9852 b=4.9852 c=23.2168 alpha=90.00 beta=90.00 gamma=120.00
Space group R-3m (No. 166, hexagonal axes)
One atom of each set of equivalent atoms:
Sm  0.0000  0.0000  0.0000 [3 per cell]
Sm  0.0000  0.0000  0.1456 [6 per cell]
Be  0.0000  0.0000  0.3337 [6 per cell]
Be  0.0000  0.0000  0.5000 [3 per cell]
Be  0.0140  0.5070  0.0762 [18 per cell]

Principal peaks in the range 2θ = 10–90°, most intense first:
d = 4.245 Å, I = 100, hkl 1 0 1; d = 2.630 Å, I = 64, hkl 1 0 7; d = 2.493 Å, I = 57, hkl 1 1 0; d = 2.095 Å, I = 50, hkl 1 1 6; d = 3.869 Å, I = 33, hkl 0 0 6; d = 2.409 Å, I = 24, hkl 0 1 8; d = 2.149 Å, I = 22, hkl 0 2 1; d = 1.464 Å, I = 21, hkl 2 1 7; d = 7.739 Å, I = 17, hkl 0 0 3; d = 1.809 Å, I = 17, hkl 0 2 7; d = 1.628 Å, I = 15, hkl 2 1 1; d = 1.548 Å, I = 14, hkl 0 1 14

Entry 3:
Starting from the GGA-PBE geometry in OQMD, the powder diffraction line list of Pr3Cu2Si2Ge2Pd2 was calculated for Cu Kα.
Kinematic intensities with the Lorentz-polarization factor, no thermal factor.

Structural model:
Unit cell a=4.200 b=4.249 c=24.819 alpha=90.00 beta=90.00 gamma=90.00
Space group Immm (No. 71)
One atom of each set of equivalent atoms:
Pr  0.000  0.000  0.000 [2 per cell]
Pr  0.000  0.500  0.151 [4 per cell]
Cu  0.000  0.000  0.250 [4 per cell]
Si  0.000  0.000  0.452 [4 per cell]
Ge  0.000  0.500  0.304 [4 per cell]
Pd  0.000  0.500  0.405 [4 per cell]

Principal peaks in the range 2θ = 10–90°, most intense first:
=====
- Approved a new Wedding Policy, which updates our policies and fees associated with weddings for both members of Derry and non-members.
- The Mission & Peace Committee submitted several motions, all of which were approved:
- November donation drive to collect hats/gloves/scarves, gas cards, & cleaning supplies for the Veterans Village in Harrisburg to coincide with Veterans Day
- To offer English as a Second Language classes in Rooms 1 & 2 beginning Jan 6 through May 12, 2025
- Hold a soup and bake sale on Tuesday, Nov 5 (election day) to benefit the ESL program
- December donation drive for the annual Giving Tree items: $25 Walmart gift cards and hats/scarves/gloves for all ages
<<<
This entry pairs a crystal structure of Zr3BeIr2 with its theoretical X-ray powder pattern. Radiation: Cu Kα X-rays. Structure: a crystal structure in Alexandria, relaxed with GGA-PBE.
No peak broadening, texture or thermal motion is included.

abc: 10.941 4.192 9.475
angles: 90.00 90.00 90.00
Space group Pnma (No. 62)
Symmetry-distinct sites (fractional):
Zr  0.054  0.250  0.124
Zr  0.112  0.750  0.579
Zr  0.210  0.250  0.816
Be  0.134  0.250  0.394
Ir  0.028  0.750  0.313
Ir  0.180  0.750  0.004

Top 10 peaks for 15 to 90 degrees two-theta, sorted by position:
| d (Å) | 2theta | intensity | h k l |
| --- | --- | --- | --- |
| 3.833 | 23.20 | 39.4 | 0 1 1 |
| 3.581 | 24.86 | 47.2 | 2 0 2 |
| 3.403 | 26.18 | 47.3 | 3 0 1 |
| 3.327 | 26.79 | 45.2 | 2 1 0 |
| 2.723 | 32.90 | 46.6 | 2 1 2 |
| 2.642 | 33.93 | 43.8 | 3 1 1 |
| 2.458 | 36.56 | 100.0 | 1 1 3 |
| 2.379 | 37.81 | 71.6 | 3 1 2 |
| 2.096 | 43.16 | 76.0 | 0 2 0 |
| 2.062 | 43.90 | 63.2 | 4 1 2 |


This entry pairs a crystal structure of Rb2TlGeI5 with its theoretical X-ray powder pattern. Radiation: Cu Kα X-rays. Structure: a crystal structure in Alexandria, relaxed with GGA-PBE.
No peak broadening, texture or thermal motion is included.

abc: 4.701 21.021 17.181
angles: 90.00 90.00 90.00
Space group Cmc2_1 (No. 36)
Symmetry-distinct sites (fractional):
Rb  0.000  0.079  0.000
Rb  0.000  0.138  0.655
Tl  0.000  0.454  0.807
Ge  0.000  0.232  0.390
I  0.000  0.095  0.435
I  0.000  0.252  0.011
I  0.000  0.290  0.776
I  0.000  0.374  0.342
I  0.000  0.495  0.121

Top 10 peaks for 15 to 90 degrees two-theta, sorted by position:
| d (Å) | 2theta | intensity | h k l |
| --- | --- | --- | --- |
| 4.047 | 21.96 | 76.6 | 1 1 2 |
| 3.581 | 24.87 | 68.9 | 1 1 3 |
| 3.433 | 25.95 | 52.8 | 0 6 1 |
| 3.244 | 27.49 | 33.4 | 0 6 2 |
| 3.135 | 28.47 | 100.0 | 1 1 4 |
| 3.083 | 28.96 | 38.9 | 1 5 1 |
| 2.750 | 32.56 | 57.2 | 1 1 5 |
| 2.428 | 37.02 | 26.2 | 1 7 2 |
| 2.351 | 38.29 | 46.6 | 2 0 0 |
| 2.315 | 38.90 | 64.8 | 1 5 5 |


This entry pairs a crystal structure of Ac8Pm2Nd3 with its theoretical X-ray powder pattern. Radiation: Cu Kα X-rays. Structure: a crystal structure in Alexandria, relaxed with GGA-PBE.
No peak broadening, texture or thermal motion is included.

abc: 6.475 9.697 10.175
angles: 63.17 81.04 77.11
Space group P-1 (No. 2)
Symmetry-distinct sites (fractional):
Ac  0.009  0.368  0.223
Ac  0.016  0.093  0.636
Ac  0.485  0.636  0.289
Ac  0.490  0.076  0.144
Pm  0.464  0.804  0.571
Nd  0.001  0.197  0.955
Nd  0.500  0.500  0.000

Top 10 peaks for 15 to 90 degrees two-theta, sorted by position:
| d (Å) | 2theta | intensity | h k l |
| --- | --- | --- | --- |
| 3.150 | 28.33 | 98.4 | 2 0 0 |
| 3.133 | 28.49 | 100.0 | 1 1 3 |
| 3.098 | 28.81 | 92.8 | 1 2 -1 |
| 3.080 | 28.99 | 92.2 | 0 3 2 |
| 2.822 | 31.70 | 77.2 | 1 -2 1 |
| 2.794 | 32.03 | 77.4 | -1 1 3 |
| 2.511 | 35.76 | 52.6 | 2 3 2 |
| 1.986 | 45.69 | 51.9 | 0 1 -4 |
| 1.693 | 54.19 | 30.6 | 3 -2 1 |
| 1.669 | 55.02 | 43.3 | 0 2 6 |
>>>
- Fundraisers for Friends of Sargodha to benefit Pakistan scholarships: Greeting cards, ornament sale, Shares for Scholarships, March Mission Madness
- The Session approved a Capital Procurement Requisition submitted by Building & Grounds in an amount not to exceed $25,000 to repair/paint drywall in the Pastor’s office, remove the 30-year-old carpet in the office suite, library, elevator and steps to the upper level, and install new carpet tiles in those areas. On September 22 a sewer line back up damaged Pastor Stephen’s office and portions of the office suite. As a result, drywall and carpeting was removed and discarded. Renovations are underway to repair the damaged areas and carpet installation is scheduled for early November.
- Reviewed and approved the lease of 275 Mansion Road to Cory Earl for a one-year lease term beginning Nov 1 at a monthly rental of $1,600 and a security deposit of $1,600. At the end of the lease term the lease converts to a month-to-month term.
- Approved presenting an offer of employment to Summer Hakkinen as Finance Director beginning on November 1
PW Thank Offering: Recipient #1
October 30, 2024You will be enriched in every way for your great generosity, which will produce thanksgiving to God through us; for the rendering of this ministry not only supplies the needs of the saints but also overflows with many thanksgivings to God. Corinthians 9:11-12
Each year Presbyterian Women and Friends heed the call of Paul to “supply the need of the saints” through giving to the Thank Offering. This grant program allocates 40% of the funds to health related ministries. Of the eight grants this year, six serve people in the United States and two are international.
From the Synod of Lakes and Prairies on the Pine Ridge Indian Reservation, Waniyetu Consulting empowers young mothers by providing teaching and direction for their role as a parent. This grant will fund a program to bring back the Welcoming of the Baby ceremony, one of the oldest and most significant ceremonies in Lakota culture. During the ceremony, young mothers are taught the traditions of protecting the baby’s fontanel from harm or sickness and the sacred connection to walking in balance. This ceremony provides an opportunity to teach parenting skills such as nutrition, nurturing baby care and healthy relationships. A Lakota elder will speak about their traditions, connecting generations and the sacredness of caring for the child.
The scriptural passage tells us that we must give in a way that honors God, plain and simple. Everything belongs to God first. As we receive more blessings in life, we are more able to give generously. We are blessed to be a blessing to others.
Your gifts will bless many others. You may use the offering envelopes in the pew racks, give online or mail donations to the church office. Make checks payable to “PW Thank Offering.” Thank you for your generosity.
Worship at Londonderry Village
Pastor Stephen will lead worship with communion, prayers, a meditation and carol singing. A time of fellowship follows the service. The Prime Timers have been invited to participate.
Oct 2024 News from Presbyterian Women
October 23, 2024PW National Book Discussion:Searching for Savanna by Mona Gable. Join on Zoom at 6:30 pm Monday, Nov 11. The book tells the story of the murder of an indigenous woman in 2017 and past treatment of others.
Orange Day is Friday, Oct 25, when Presbyterian Women highlight the exploitation worldwide of females and work being done to end it. One of the recipients of the Thank Offering will be Peace Promise in Camp Hill, which offers advocacy, education and economic empowerment to survivors of sexual exploitation and human trafficking in the Harrisburg area. They have two social enterprises: Good Ground Coffee Company and Soaps by Survivors, which employ these women and offer mentoring and on-the-job training. Wear orange or and orange ribbon Friday, Oct 25 to show support, and patronize the businesses when in Camp Hill.
Office Suite Takes the Brunt of Church Plumbing Problem
=====
(1)
The following is a theoretical PXRD pattern of Ce2Cu3Ge3. It was derived from the GGA-PBE geometry in Alexandria, using Cu Kα, 1.54184 Å.

Structure:
a = 4.1808 Å, b = 8.9865 Å, c = 8.9865 Å
α = 26.73°, β = 90.00°, γ = 90.00°
Positions (direct):
Ce 0.0000 0.0000 0.0000
Ce 0.5000 0.2089 0.2089
Cu 0.0000 0.3608 0.3608
Cu 0.0000 0.7800 0.7800
Cu 0.5000 0.5768 0.5768
Ge 0.0000 0.6420 0.6420
Ge 0.5000 0.4422 0.4422
Ge 0.5000 0.8499 0.8499

The 8 most intense peaks (15 to 90 degrees two-theta), sorted by position:
30.75 deg, d = 2.907 Å, I = 223; 33.49 deg, d = 2.676 Å, I = 472; 34.09 deg, d = 2.630 Å, I = 1000; 43.28 deg, d = 2.090 Å, I = 283; 43.57 deg, d = 2.077 Å, I = 277; 46.91 deg, d = 1.937 Å, I = 251; 55.81 deg, d = 1.647 Å, I = 214; 63.09 deg, d = 1.474 Å, I = 178

=====

(2)
The following is a theoretical PXRD pattern of Ce3Cu2Ge3. It was derived from the GGA-PBE geometry in Alexandria, using Cu Kα, 1.54184 Å.

Structure:
a = 5.7984 Å, b = 5.7984 Å, c = 14.4691 Å
α = 90.00°, β = 90.00°, γ = 136.66°
Positions (direct):
Ce 0.0813 0.9187 0.6102
Ce 0.0813 0.9187 0.8898
Ce 0.3670 0.6330 0.7500
Ce 0.6330 0.3670 0.2500
Ce 0.9187 0.0813 0.1102
Ce 0.9187 0.0813 0.3898
Cu 0.2176 0.7824 0.0951
Cu 0.2176 0.7824 0.4049
Cu 0.7824 0.2176 0.5951
Cu 0.7824 0.2176 0.9049
Ge 0.3402 0.6599 0.2500
Ge 0.3786 0.6214 0.5424
Ge 0.3786 0.6214 0.9576
Ge 0.6214 0.3786 0.0424
Ge 0.6214 0.3786 0.4576
Ge 0.6599 0.3402 0.7500

The 8 most intense peaks (15 to 90 degrees two-theta), sorted by position:
33.13 deg, d = 2.704 Å, I = 649; 33.48 deg, d = 2.677 Å, I = 1000; 35.20 deg, d = 2.549 Å, I = 209; 37.29 deg, d = 2.412 Å, I = 239; 37.63 deg, d = 2.390 Å, I = 509; 38.26 deg, d = 2.352 Å, I = 208; 41.22 deg, d = 2.190 Å, I = 239; 42.20 deg, d = 2.141 Å, I = 428

=====

(3)
The following is a theoretical PXRD pattern of Ce3CuGeS7. It was derived from the GGA-PBE geometry in Alexandria, using Cu Kα, 1.54184 Å.

Structure:
a = 10.1845 Å, b = 10.1845 Å, c = 5.8860 Å
α = 90.00°, β = 90.00°, γ = 120.00°
Positions (direct):
Ce 0.1282 0.7708 0.0000
Ce 0.2292 0.3575 0.0000
Ce 0.3575 0.1282 0.5000
Ce 0.6425 0.8718 0.0000
Ce 0.7708 0.6425 0.5000
Ce 0.8718 0.2292 0.5000
Cu 0.0000 0.0000 0.4682
Cu 0.0000 0.0000 0.9682
Ge 0.3333 0.6667 0.5811
Ge 0.6667 0.3333 0.0811
S 0.0906 0.8391 0.4810
S 0.1022 0.5194 0.7357
S 0.1609 0.2515 0.4810
S 0.2515 0.0906 0.9810
S 0.3333 0.6667 0.2042
S 0.4172 0.8978 0.7357
S 0.4806 0.5828 0.7357
S 0.5194 0.4172 0.2357
S 0.5828 0.1022 0.2357
S 0.6667 0.3333 0.7042
S 0.7485 0.9094 0.4810
S 0.8391 0.7485 0.9810
S 0.8978 0.4806 0.2357
S 0.9094 0.1609 0.9810

The 8 most intense peaks (15 to 90 degrees two-theta), sorted by position:
23.10 deg, d = 3.851 Å, I = 297; 25.23 deg, d = 3.529 Å, I = 1000; 30.37 deg, d = 2.943 Å, I = 303; 35.25 deg, d = 2.546 Å, I = 516; 36.73 deg, d = 2.447 Å, I = 553; 39.91 deg, d = 2.259 Å, I = 321; 40.91 deg, d = 2.206 Å, I = 435; 47.21 deg, d = 1.925 Å, I = 306

=====

(4)
=====
October 23, 2024
Amid all the fun and excitement of Derry’s big anniversary weekend in September, a blocked pipe caused a big plumbing problem in the office suite. Pastor Stephen’s office and bathroom, being the lowest point, suffered the greatest impact. Our stellar Building & Grounds committee and maintenance team got to work. Charlie and Marilyn Koch have been replacing drywall and sanding and finishing the walls. Rooms will be painted and plans are underway to replace 30-year-old carpeting in the office suite and atrium library. Thanks to everyone who has pitched in to help, and for the staff’s fortitude in bearing with the upheaval.
New carpeting will be installed Nov 15-18. The church office will be closed Friday, Nov 15.
Derry Church has a second Zoom Room!
October 23, 2024
The double-screen setup was installed last week in Room 2 to expand our options for hybrid meeting space, which has been in high demand by many groups and committees. Contact the church office if you’d like to schedule a meeting in Room 2 (or in any room at the church).
Ways You Can Support our Tiny Home Veterans
October 23, 2024In honor of Veterans Day, donations of bathroom cleaning products, paper goods (toilet paper, paper towels), and Sheetz and WaWa gift cards are being collected by the Mission and Peace committee for the Veterans Outreach of Pennsylvania (VOPA), where Derry Church sponsored the building of a tiny home for homeless veterans in Harrisburg. Drop donations in the VOPA bin in Derry’s Mission Closet (lower level) by Sunday, Nov 10. For more information, contact Ashley Shields.
A Reminder from Nurse Beckie: Get Your Flu Shot
October 23, 2024It is almost the end of October, but it is not too late to get your flu shot. The CDC recommends that everyone age six months and older get a yearly flu shot. The shot can be given anytime during flu season beginning in September, however, the earlier the better.
After getting the shot, it takes an average of two weeks for immunity to occur. A flu shot helps protect from getting the flu, or if you do get it, decreases severity of the illness. It can also prevent hospitalizations and associated illnesses, especially in the elderly.
Most health insurance plans cover the cost of the flu shot as preventive care. Flu vaccination is also offered to the public at either low or no cost to those with no health insurance. People with an egg allergy may now get the vaccine.
If you have any questions or concerns, feel free to contact Nurse Beckie or your health care provider.
Wash your hands and say your prayers because Jesus and germs are everywhere!
Post-Worship Fellowship: What You Need to Know
October 17, 2024- The host for each Sunday is expected to be in the kitchen by 10 am to complete any final setup that’s required. There may be some instructions on the kitchen counter from Amanda, our Hospitality Coordinator.
- The host is responsible for pouring drinks, greeting folks and getting to know other members and guests following the 10:30 am service.
- The host should refill drink pitchers as needed.
- Cleanup involves returning all food and drink items to the kitchen counter, and refrigerating any items that require refrigeration.
- Do not bring any food items with you unless you have made arrangements in advance with Amanda. You can call or text her at 717-395-3461.
Everyone is welcome to be a host: individuals, families, groups, Shepherd Groups, friends! Be sure to sign up on the volunteer portal so we know who to expect that day. Or you can call Kathy Yingst at the church office (717-533-9667) and she will sign you up.
If you have any questions or concerns, feel free to contact me. Remember, you do not have to bring or make anything, just show up and be a great host!
Karen Carns, Chair
Membership Connections
Bake Some Treats for Derry’s First-Ever Election Day Bake Sale
October 17, 2024Derry bakers, donate your favorite sweet creations to Derry’s first-ever Election Day bake sale. Your efforts will support a new initiative from the Mission & Peace Committee: English as a Second Language classes that will begin early next year at Derry Church.
Drop off individually wrapped baked goods on Sunday, Nov 3 or Monday, Nov 4. The bake sale will take place on Tuesday morning in the atrium library and hallway leading to Room 7, and include soup made by Amanda Bentley, our hospitality coordinator. Questions? Contact Jane Robertson.